Activity
Echo the block underneath character by character.
Given
~~~
No. 1
The following is a PBE with a Hubbard U calculation of a geometry-optimized MgFe8O8F8 structure, from the Materials Project.

The structure in POSCAR format:
```
MgFe8O8F8
1.0
9.7890 -0.3184 0.0000
-0.3162 10.1068 0.0000
0.0000 0.0000 3.1254
Mg Fe O F
1 8 8 8
Direct
0.7609 0.0130 0.0000
0.1211 0.9849 0.0000
0.0074 0.4967 0.0000
0.2128 0.2731 0.5000
0.2345 0.7215 0.5000
0.5118 0.4982 0.0000
0.4635 0.0115 0.0000
0.7444 0.3060 0.5000
0.7618 0.6889 0.5000
0.0915 0.4078 0.5000
0.1340 0.8782 0.5000
0.1530 0.1715 0.0000
0.1619 0.6362 0.0000
0.5859 0.4081 0.5000
0.6506 0.6420 0.0000
0.8427 0.3557 0.0000
0.9106 0.5895 0.5000
0.3438 0.3630 0.0000
0.3725 0.8291 0.0000
0.3854 0.1111 0.5000
0.4056 0.5934 0.5000
0.6162 0.9488 0.5000
0.6374 0.1650 0.0000
0.8272 0.8368 0.0000
0.8481 0.0977 0.5000
```

Its offset from the most stable computed form is 0.0295 eV per atom. For the total energy, the calculation gives -5.98 eV per atom. For the size of the total moment, the calculation gives 0.00 μB per formula unit.

---

No. 2
The following is a PBE with a Hubbard U calculation of a geometry-optimized InMoHSeO7 structure, from the Materials Project.

The structure in POSCAR format:
```
InMoHSeO7
1.0
3.1789 -6.6590 7.8772
3.7938 -1.3957 10.0078
-6.6042 -4.0144 11.8232
In Mo H Se O
4 4 4 4 28
Direct
0.8828 0.5799 0.4057
0.4201 0.1172 0.0943
0.1172 0.4201 0.5943
0.5799 0.8828 0.9057
0.4629 0.7451 0.7009
0.2549 0.5371 0.7991
0.5371 0.2549 0.2991
0.7451 0.4629 0.2009
0.7496 0.2023 0.8240
0.7977 0.2504 0.6760
0.2504 0.7977 0.1760
0.2023 0.7496 0.3240
0.2717 0.9693 0.4303
0.0307 0.7283 0.0697
0.7283 0.0307 0.5697
0.9693 0.2717 0.9303
0.5029 0.7712 0.5028
0.2288 0.4971 0.9972
0.4971 0.2288 0.4972
0.7712 0.5029 0.0028
0.7882 0.5858 0.5990
0.4142 0.2118 0.9010
0.2118 0.4142 0.4010
0.5858 0.7882 0.0990
0.0174 0.2290 0.4918
0.7710 0.9826 0.0082
0.9826 0.7710 0.5082
0.2290 0.0174 0.9918
0.2198 0.7802 0.7500
0.7802 0.2198 0.2500
0.6715 0.3285 0.7500
0.3285 0.6715 0.2500
0.5014 0.6347 0.8486
0.3653 0.4986 0.6514
0.4986 0.3653 0.1514
0.6347 0.5014 0.3486
0.3871 0.0583 0.2811
0.9417 0.6129 0.2189
0.6129 0.9417 0.7189
0.0583 0.3871 0.7811
0.2678 0.0629 0.6613
0.9371 0.7322 0.8387
0.7322 0.9371 0.3387
0.0629 0.2678 0.1613
```

For the total energy, the calculation gives -5.96 eV per atom. For the size of the total moment, the calculation gives 0.00 μB per formula unit.

---

No. 3
The following is a PBE with a Hubbard U calculation of a geometry-optimized Na3VMo3O21 structure, from the Materials Project.

The structure in POSCAR format:
```
Na3VMo3O21
1.0
8.5546 3.2222 -0.8946
1.7411 -10.7826 -1.1544
-2.8128 5.6851 -9.0566
Na V Mo O
6 2 6 42
Direct
0.6013 0.1621 0.3692
0.3987 0.8379 0.6308
0.6003 0.1349 0.9451
0.3997 0.8651 0.0549
0.8951 0.5601 0.3116
0.1049 0.4399 0.6884
0.8260 0.0378 0.0822
0.1740 0.9622 0.9178
0.8137 0.8278 0.6868
0.1863 0.1722 0.3132
0.8381 0.6526 0.8719
0.1619 0.3474 0.1281
0.9562 0.1757 0.8261
0.0438 0.8243 0.1739
0.8555 0.6907 0.5392
0.1445 0.3093 0.4608
0.6459 0.8587 0.6442
0.3541 0.1413 0.3558
0.7309 0.7383 0.7941
0.2691 0.2617 0.2059
0.9519 0.9838 0.6906
0.0481 0.0162 0.3094
0.9835 0.1707 0.1832
0.0165 0.8293 0.8168
0.8204 0.0300 0.9218
0.1795 0.9700 0.0782
0.6960 0.5810 0.9388
0.3040 0.4190 0.0612
0.8797 0.5119 0.7253
0.1203 0.4881 0.2747
0.9868 0.3136 0.0154
0.0132 0.6864 0.9846
0.8600 0.8807 0.0666
0.1400 0.1193 0.9334
0.0732 0.2605 0.7500
0.9268 0.7395 0.2500
0.7788 0.1976 0.7993
0.2212 0.8024 0.2007
0.6423 0.0471 0.1316
0.3577 0.9529 0.8684
0.5450 0.1042 0.6268
0.4550 0.8958 0.3732
0.6159 0.8289 0.2229
0.3841 0.1711 0.7771
0.4368 0.6039 0.7822
0.5632 0.3961 0.2178
0.5440 0.2087 0.6112
0.4560 0.7913 0.3888
0.7862 0.2528 0.2686
0.2138 0.7472 0.7314
0.6141 0.7283 0.2435
0.3859 0.2717 0.7565
0.4162 0.4902 0.6678
0.5838 0.5098 0.3322
0.3148 0.6386 0.8448
0.6852 0.3614 0.1552
```
~~~
Done
No. 1
The following is a PBE with a Hubbard U calculation of a geometry-optimized MgFe8O8F8 structure, from the Materials Project.

The structure in POSCAR format:
```
MgFe8O8F8
1.0
9.7890 -0.3184 0.0000
-0.3162 10.1068 0.0000
0.0000 0.0000 3.1254
Mg Fe O F
1 8 8 8
Direct
0.7609 0.0130 0.0000
0.1211 0.9849 0.0000
0.0074 0.4967 0.0000
0.2128 0.2731 0.5000
0.2345 0.7215 0.5000
0.5118 0.4982 0.0000
0.4635 0.0115 0.0000
0.7444 0.3060 0.5000
0.7618 0.6889 0.5000
0.0915 0.4078 0.5000
0.1340 0.8782 0.5000
0.1530 0.1715 0.0000
0.1619 0.6362 0.0000
0.5859 0.4081 0.5000
0.6506 0.6420 0.0000
0.8427 0.3557 0.0000
0.9106 0.5895 0.5000
0.3438 0.3630 0.0000
0.3725 0.8291 0.0000
0.3854 0.1111 0.5000
0.4056 0.5934 0.5000
0.6162 0.9488 0.5000
0.6374 0.1650 0.0000
0.8272 0.8368 0.0000
0.8481 0.0977 0.5000
```

Its offset from the most stable computed form is 0.0295 eV per atom. For the total energy, the calculation gives -5.98 eV per atom. For the size of the total moment, the calculation gives 0.00 μB per formula unit.

---

No. 2
The following is a PBE with a Hubbard U calculation of a geometry-optimized InMoHSeO7 structure, from the Materials Project.

The structure in POSCAR format:
```
InMoHSeO7
1.0
3.1789 -6.6590 7.8772
3.7938 -1.3957 10.0078
-6.6042 -4.0144 11.8232
In Mo H Se O
4 4 4 4 28
Direct
0.8828 0.5799 0.4057
0.4201 0.1172 0.0943
0.1172 0.4201 0.5943
0.5799 0.8828 0.9057
0.4629 0.7451 0.7009
0.2549 0.5371 0.7991
0.5371 0.2549 0.2991
0.7451 0.4629 0.2009
0.7496 0.2023 0.8240
0.7977 0.2504 0.6760
0.2504 0.7977 0.1760
0.2023 0.7496 0.3240
0.2717 0.9693 0.4303
0.0307 0.7283 0.0697
0.7283 0.0307 0.5697
0.9693 0.2717 0.9303
0.5029 0.7712 0.5028
0.2288 0.4971 0.9972
0.4971 0.2288 0.4972
0.7712 0.5029 0.0028
0.7882 0.5858 0.5990
0.4142 0.2118 0.9010
0.2118 0.4142 0.4010
0.5858 0.7882 0.0990
0.0174 0.2290 0.4918
0.7710 0.9826 0.0082
0.9826 0.7710 0.5082
0.2290 0.0174 0.9918
0.2198 0.7802 0.7500
0.7802 0.2198 0.2500
0.6715 0.3285 0.7500
0.3285 0.6715 0.2500
0.5014 0.6347 0.8486
0.3653 0.4986 0.6514
0.4986 0.3653 0.1514
0.6347 0.5014 0.3486
0.3871 0.0583 0.2811
0.9417 0.6129 0.2189
0.6129 0.9417 0.7189
0.0583 0.3871 0.7811
0.2678 0.0629 0.6613
0.9371 0.7322 0.8387
0.7322 0.9371 0.3387
0.0629 0.2678 0.1613
```

For the total energy, the calculation gives -5.96 eV per atom. For the size of the total moment, the calculation gives 0.00 μB per formula unit.

---

No. 3
The following is a PBE with a Hubbard U calculation of a geometry-optimized Na3VMo3O21 structure, from the Materials Project.

The structure in POSCAR format:
```
Na3VMo3O21
1.0
8.5546 3.2222 -0.8946
1.7411 -10.7826 -1.1544
-2.8128 5.6851 -9.0566
Na V Mo O
6 2 6 42
Direct
0.6013 0.1621 0.3692
0.3987 0.8379 0.6308
0.6003 0.1349 0.9451
0.3997 0.8651 0.0549
0.8951 0.5601 0.3116
0.1049 0.4399 0.6884
0.8260 0.0378 0.0822
0.1740 0.9622 0.9178
0.8137 0.8278 0.6868
0.1863 0.1722 0.3132
0.8381 0.6526 0.8719
0.1619 0.3474 0.1281
0.9562 0.1757 0.8261
0.0438 0.8243 0.1739
0.8555 0.6907 0.5392
0.1445 0.3093 0.4608
0.6459 0.8587 0.6442
0.3541 0.1413 0.3558
0.7309 0.7383 0.7941
0.2691 0.2617 0.2059
0.9519 0.9838 0.6906
0.0481 0.0162 0.3094
0.9835 0.1707 0.1832
0.0165 0.8293 0.8168
0.8204 0.0300 0.9218
0.1795 0.9700 0.0782
0.6960 0.5810 0.9388
0.3040 0.4190 0.0612
0.8797 0.5119 0.7253
0.1203 0.4881 0.2747
0.9868 0.3136 0.0154
0.0132 0.6864 0.9846
0.8600 0.8807 0.0666
0.1400 0.1193 0.9334
0.0732 0.2605 0.7500
0.9268 0.7395 0.2500
0.7788 0.1976 0.7993
0.2212 0.8024 0.2007
0.6423 0.0471 0.1316
0.3577 0.9529 0.8684
0.5450 0.1042 0.6268
0.4550 0.8958 0.3732
0.6159 0.8289 0.2229
0.3841 0.1711 0.7771
0.4368 0.6039 0.7822
0.5632 0.3961 0.2178
0.5440 0.2087 0.6112
0.4560 0.7913 0.3888
0.7862 0.2528 0.2686
0.2138 0.7472 0.7314
0.6141 0.7283 0.2435
0.3859 0.2717 0.7565
0.4162 0.4902 0.6678
0.5838 0.5098 0.3322
0.3148 0.6386 0.8448
0.6852 0.3614 0.1552
```